Activity =
Write out all of the rows further below without additions.

File =
~~~
# LaSm2TmBi4
Theoretical powder diffractogram, CuKα. Input: DFT lattice parameters and positions (GGA-PBE).
Lines closer than 0.1° are merged.

Largest 10 diffraction maxima, sorted by position, 2θ from 10° to 90°:
27.61 deg, d 3.230, rel. 100.0
39.45 deg, d 2.284, rel. 78.4
48.80 deg, d 1.866, rel. 21.6
48.91 deg, d 1.862, rel. 7.0
57.02 deg, d 1.615, rel. 13.5
64.48 deg, d 1.445, rel. 25.1
64.55 deg, d 1.444, rel. 12.3
71.51 deg, d 1.319, rel. 21.0
71.65 deg, d 1.317, rel. 6.7
84.83 deg, d 1.143, rel. 4.6

Atomic structure:
```
data_LaSm2TmBi4
_cell_length_a 7.9008
_cell_length_b 4.5733
_cell_length_c 7.9165
_cell_angle_alpha 90.00
_cell_angle_beta 109.47
_cell_angle_gamma 90.00
_symmetry_space_group_name_H-M 'P 1 2/m 1'
_symmetry_Int_Tables_number 10
_symmetry_space_group_name_Hall '-P 2y'
loop_
_atom_site_label
_atom_site_type_symbol
_atom_site_fract_x
_atom_site_fract_y
_atom_site_fract_z
La1 La 0.0000 0.0000 0.0000
Sm1 Sm 0.0000 0.5000 0.5000
Sm2 Sm 0.5000 0.0000 0.5000
Tm1 Tm 0.5000 0.5000 0.0000
Bi1 Bi 0.2582 0.0000 0.7533
Bi2 Bi 0.2579 0.5000 0.2521
```

# Ba8GeRh2
Theoretical powder diffractogram, CuKα. Input: DFT lattice parameters and positions (GGA-PBE).
Lines closer than 0.1° are merged.

Largest 10 diffraction maxima, sorted by position, 2θ from 10° to 90°:
21.73 deg, d 4.091, rel. 33.1
23.13 deg, d 3.846, rel. 24.5
24.65 deg, d 3.612, rel. 100.0
31.94 deg, d 2.802, rel. 26.9
38.10 deg, d 2.362, rel. 44.6
41.57 deg, d 2.173, rel. 35.5
45.05 deg, d 2.012, rel. 24.7
45.92 deg, d 1.976, rel. 20.0
57.65 deg, d 1.599, rel. 16.8
71.22 deg, d 1.324, rel. 18.0

Atomic structure:
```
data_Ba8GeRh2
_cell_length_a 16.3625
_cell_length_b 9.4469
_cell_length_c 7.6910
_cell_angle_alpha 90.00
_cell_angle_beta 90.05
_cell_angle_gamma 90.00
_symmetry_space_group_name_H-M 'C 1 2/m 1'
_symmetry_Int_Tables_number 12
_symmetry_space_group_name_Hall '-C 2y'
loop_
_atom_site_label
_atom_site_type_symbol
_atom_site_fract_x
_atom_site_fract_y
_atom_site_fract_z
Ba1 Ba 0.0834 0.2492 0.2384
Ba2 Ba 0.1669 0.0000 0.7304
Ba3 Ba 0.1670 0.5000 0.7617
Ge1 Ge 0.0000 0.5000 0.0000
Rh1 Rh 0.1667 0.0000 0.1009
```

# Ac2LaTbSb4
Theoretical powder diffractogram, CuKα. Input: DFT lattice parameters and positions (GGA-PBE).
Lines closer than 0.1° are merged.

Largest 10 diffraction maxima, sorted by position, 2θ from 10° to 90°:
23.38 deg, d 3.805, rel. 8.0
27.06 deg, d 3.296, rel. 100.0
38.64 deg, d 2.330, rel. 77.5
45.65 deg, d 1.987, rel. 4.9
47.80 deg, d 1.903, rel. 28.0
55.79 deg, d 1.648, rel. 13.1
63.08 deg, d 1.474, rel. 36.0
69.92 deg, d 1.345, rel. 26.3
89.12 deg, d 1.099, rel. 12.9
89.20 deg, d 1.098, rel. 4.8

Atomic structure:
```
data_Ac2LaTbSb4
_cell_length_a 8.0673
_cell_length_b 4.6641
_cell_length_c 8.0709
_cell_angle_alpha 90.00
_cell_angle_beta 109.46
_cell_angle_gamma 90.00
_symmetry_space_group_name_H-M 'P 1 2/m 1'
_symmetry_Int_Tables_number 10
_symmetry_space_group_name_Hall '-P 2y'
loop_
_atom_site_label
_atom_site_type_symbol
_atom_site_fract_x
_atom_site_fract_y
_atom_site_fract_z
Ac1 Ac 0.0000 0.0000 0.0000
Ac2 Ac 0.5000 0.5000 0.0000
La1 La 0.0000 0.5000 0.5000
Tb1 Tb 0.5000 0.0000 0.5000
Sb1 Sb 0.2508 0.0000 0.7356
Sb2 Sb 0.2614 0.5000 0.2680
```

----------

Starting from DFT lattice parameters and positions (PBE), the X-ray powder pattern of K2FeBr2Cl2 was computed for Cu Ka.
Intensities are scaled so that the largest is 100.

Top 6 peaks for 5° ≤ 2θ ≤ 70°, low angle first:
13.2 deg, intensity 57, (0 0 2)
28.1 deg, intensity 28, (0 2 2)
29.2 deg, intensity 53, (1 0 3)
33.4 deg, intensity 100, (1 2 1)
36.5 deg, intensity 22, (0 2 4)
47.4 deg, intensity 32, (1 2 5)

Structural model:
```
data_K2FeBr2Cl2
_chemical_formula_sum 'K4 Fe2 Br4 Cl4'
_space_group_name_H-M_alt 'I m m m'
_space_group_IT_number 71
_space_group_name_Hall '-I 2 2'
_cell_length_a 4.193
_cell_length_b 7.217
_cell_length_c 13.435
~~~

Here it is =
# LaSm2TmBi4
Theoretical powder diffractogram, CuKα. Input: DFT lattice parameters and positions (GGA-PBE).
Lines closer than 0.1° are merged.

Largest 10 diffraction maxima, sorted by position, 2θ from 10° to 90°:
27.61 deg, d 3.230, rel. 100.0
39.45 deg, d 2.284, rel. 78.4
48.80 deg, d 1.866, rel. 21.6
48.91 deg, d 1.862, rel. 7.0
57.02 deg, d 1.615, rel. 13.5
64.48 deg, d 1.445, rel. 25.1
64.55 deg, d 1.444, rel. 12.3
71.51 deg, d 1.319, rel. 21.0
71.65 deg, d 1.317, rel. 6.7
84.83 deg, d 1.143, rel. 4.6

Atomic structure:
```
data_LaSm2TmBi4
_cell_length_a 7.9008
_cell_length_b 4.5733
_cell_length_c 7.9165
_cell_angle_alpha 90.00
_cell_angle_beta 109.47
_cell_angle_gamma 90.00
_symmetry_space_group_name_H-M 'P 1 2/m 1'
_symmetry_Int_Tables_number 10
_symmetry_space_group_name_Hall '-P 2y'
loop_
_atom_site_label
_atom_site_type_symbol
_atom_site_fract_x
_atom_site_fract_y
_atom_site_fract_z
La1 La 0.0000 0.0000 0.0000
Sm1 Sm 0.0000 0.5000 0.5000
Sm2 Sm 0.5000 0.0000 0.5000
Tm1 Tm 0.5000 0.5000 0.0000
Bi1 Bi 0.2582 0.0000 0.7533
Bi2 Bi 0.2579 0.5000 0.2521
```

# Ba8GeRh2
Theoretical powder diffractogram, CuKα. Input: DFT lattice parameters and positions (GGA-PBE).
Lines closer than 0.1° are merged.

Largest 10 diffraction maxima, sorted by position, 2θ from 10° to 90°:
21.73 deg, d 4.091, rel. 33.1
23.13 deg, d 3.846, rel. 24.5
24.65 deg, d 3.612, rel. 100.0
31.94 deg, d 2.802, rel. 26.9
38.10 deg, d 2.362, rel. 44.6
41.57 deg, d 2.173, rel. 35.5
45.05 deg, d 2.012, rel. 24.7
45.92 deg, d 1.976, rel. 20.0
57.65 deg, d 1.599, rel. 16.8
71.22 deg, d 1.324, rel. 18.0

Atomic structure:
```
data_Ba8GeRh2
_cell_length_a 16.3625
_cell_length_b 9.4469
_cell_length_c 7.6910
_cell_angle_alpha 90.00
_cell_angle_beta 90.05
_cell_angle_gamma 90.00
_symmetry_space_group_name_H-M 'C 1 2/m 1'
_symmetry_Int_Tables_number 12
_symmetry_space_group_name_Hall '-C 2y'
loop_
_atom_site_label
_atom_site_type_symbol
_atom_site_fract_x
_atom_site_fract_y
_atom_site_fract_z
Ba1 Ba 0.0834 0.2492 0.2384
Ba2 Ba 0.1669 0.0000 0.7304
Ba3 Ba 0.1670 0.5000 0.7617
Ge1 Ge 0.0000 0.5000 0.0000
Rh1 Rh 0.1667 0.0000 0.1009
```

# Ac2LaTbSb4
Theoretical powder diffractogram, CuKα. Input: DFT lattice parameters and positions (GGA-PBE).
Lines closer than 0.1° are merged.

Largest 10 diffraction maxima, sorted by position, 2θ from 10° to 90°:
23.38 deg, d 3.805, rel. 8.0
27.06 deg, d 3.296, rel. 100.0
38.64 deg, d 2.330, rel. 77.5
45.65 deg, d 1.987, rel. 4.9
47.80 deg, d 1.903, rel. 28.0
55.79 deg, d 1.648, rel. 13.1
63.08 deg, d 1.474, rel. 36.0
69.92 deg, d 1.345, rel. 26.3
89.12 deg, d 1.099, rel. 12.9
89.20 deg, d 1.098, rel. 4.8

Atomic structure:
```
data_Ac2LaTbSb4
_cell_length_a 8.0673
_cell_length_b 4.6641
_cell_length_c 8.0709
_cell_angle_alpha 90.00
_cell_angle_beta 109.46
_cell_angle_gamma 90.00
_symmetry_space_group_name_H-M 'P 1 2/m 1'
_symmetry_Int_Tables_number 10
_symmetry_space_group_name_Hall '-P 2y'
loop_
_atom_site_label
_atom_site_type_symbol
_atom_site_fract_x
_atom_site_fract_y
_atom_site_fract_z
Ac1 Ac 0.0000 0.0000 0.0000
Ac2 Ac 0.5000 0.5000 0.0000
La1 La 0.0000 0.5000 0.5000
Tb1 Tb 0.5000 0.0000 0.5000
Sb1 Sb 0.2508 0.0000 0.7356
Sb2 Sb 0.2614 0.5000 0.2680
```

----------

Starting from DFT lattice parameters and positions (PBE), the X-ray powder pattern of K2FeBr2Cl2 was computed for Cu Ka.
Intensities are scaled so that the largest is 100.

Top 6 peaks for 5° ≤ 2θ ≤ 70°, low angle first:
13.2 deg, intensity 57, (0 0 2)
28.1 deg, intensity 28, (0 2 2)
29.2 deg, intensity 53, (1 0 3)
33.4 deg, intensity 100, (1 2 1)
36.5 deg, intensity 22, (0 2 4)
47.4 deg, intensity 32, (1 2 5)

Structural model:
```
data_K2FeBr2Cl2
_chemical_formula_sum 'K4 Fe2 Br4 Cl4'
_space_group_name_H-M_alt 'I m m m'
_space_group_IT_number 71
_space_group_name_Hall '-I 2 2'
_cell_length_a 4.193
_cell_length_b 7.217
_cell_length_c 13.435